### Exercise
Find "90.87 90.24" and "0.750 (multiplicity" in the data underneath, and retype these two lines and those between, please.
### File
~~~
# 1
For BaSrLaWO6, a structure optimized by DFT (PBE+U) gives the theoretical powder XRD pattern in this record (Cu Kα X-rays).
No peak broadening, texture or thermal motion is included.

Most intense lines, 2θ = 5–70°, sorted by position:
Position (°2θ)  d/Å  I_rel
29.18  3.060  100
29.42  3.036  67
29.59  3.019  33
41.81  2.161  17
42.03  2.150  34
51.76  1.766  34
51.87  1.763  15
52.12  1.755  13
52.53  1.742  14
60.51  1.530  14

Structure:
Lattice parameters (Å, degrees): 6.076 6.121 8.593 90.27 90.87 90.24
Space group P-1 (No. 2)
Asymmetric unit:
1 Ba 0.010 0.036 0.248 (multiplicity 2)
2 Sr 0.490 0.542 0.253 (multiplicity 2)
3 La 0.000 0.500 0.500 (multiplicity 1)
4 La 0.500 0.000 0.000 (multiplicity 1)
5 W 0.000 0.500 0.000 (multiplicity 1)
6 W 0.500 0.000 0.500 (multiplicity 1)
7 O 0.089 0.506 0.775 (multiplicity 2)
8 O 0.195 0.766 0.046 (multiplicity 2)
9 O 0.236 0.808 0.466 (multiplicity 2)
10 O 0.268 0.313 0.044 (multiplicity 2)
11 O 0.314 0.275 0.454 (multiplicity 2)
12 O 0.426 0.026 0.727 (multiplicity 2)

# 2
For BaSrLaWO6, a structure optimized by DFT (PBE+U) gives the theoretical powder XRD pattern in this record (Cu Kα X-rays).
No peak broadening, texture or thermal motion is included.

Most intense lines, 2θ = 5–70°, sorted by position:
Position (°2θ)  d/Å  I_rel
17.67  5.019  4
20.43  4.346  8
29.06  3.073  100
34.21  2.621  2
41.56  2.173  29
46.74  1.944  3
51.51  1.774  41
60.23  1.537  19
64.30  1.449  2
68.24  1.374  19

Structure:
Lattice parameters (Å, degrees): 8.692 8.692 8.692 90.00 90.00 90.00
Space group F-43m (No. 216)
Asymmetric unit:
1 Ba 0.000 0.000 0.000 (multiplicity 4)
2 Sr 0.000 0.000 0.500 (multiplicity 4)
3 La 0.250 0.250 0.750 (multiplicity 4)
4 W 0.250 0.250 0.250 (multiplicity 4)
5 O 0.020 0.250 0.250 (multiplicity 24)
~~~
### Written answer
Lattice parameters (Å, degrees): 6.076 6.121 8.593 90.27 90.87 90.24
Space group P-1 (No. 2)
Asymmetric unit:
1 Ba 0.010 0.036 0.248 (multiplicity 2)
2 Sr 0.490 0.542 0.253 (multiplicity 2)
3 La 0.000 0.500 0.500 (multiplicity 1)
4 La 0.500 0.000 0.000 (multiplicity 1)
5 W 0.000 0.500 0.000 (multiplicity 1)
6 W 0.500 0.000 0.500 (multiplicity 1)
7 O 0.089 0.506 0.775 (multiplicity 2)
8 O 0.195 0.766 0.046 (multiplicity 2)
9 O 0.236 0.808 0.466 (multiplicity 2)
10 O 0.268 0.313 0.044 (multiplicity 2)
11 O 0.314 0.275 0.454 (multiplicity 2)
12 O 0.426 0.026 0.727 (multiplicity 2)

# 2
For BaSrLaWO6, a structure optimized by DFT (PBE+U) gives the theoretical powder XRD pattern in this record (Cu Kα X-rays).
No peak broadening, texture or thermal motion is included.

Most intense lines, 2θ = 5–70°, sorted by position:
Position (°2θ)  d/Å  I_rel
17.67  5.019  4
20.43  4.346  8
29.06  3.073  100
34.21  2.621  2
41.56  2.173  29
46.74  1.944  3
51.51  1.774  41
60.23  1.537  19
64.30  1.449  2
68.24  1.374  19

Structure:
Lattice parameters (Å, degrees): 8.692 8.692 8.692 90.00 90.00 90.00
Space group F-43m (No. 216)
Asymmetric unit:
1 Ba 0.000 0.000 0.000 (multiplicity 4)
2 Sr 0.000 0.000 0.500 (multiplicity 4)
3 La 0.250 0.250 0.750 (multiplicity 4)